02-10-2025, 02:26 AM
==0100 Hours, the night of the Commissioning Ceremony==
The beeping coming from Jenny's terminal became more insistent the longer she ignored it. The fact that this was now the third time someone had tried to contact her only served to darken her mood even further as she stormed out of the bedroom, quickly wrapping her naked form in a silk kimono. It had been far too long since she'd enjoyed any male company, and after Bryan had made the journey to the ass-end of nowhere to support her at the Yeager's commissioning, she had hoped that she would be able to take her time to truly make the most of the experience.
Someone had decided that was not to be.
That meant someone was about to die.
Dropping heavily into the chair behind her desk, she slammed her hand down on the console to activate the communications terminal. The screen flashed to life, the brightness causing her to flinch away briefly as her eyes adjusted.
"This had better be good."
The officer on the other end of the communication, a young Bajoran woman, seemed unphased by Jenny's appearance or mood, and seemed more intent on working on filing her nails than holding any conversation.
[Please hold for Ambassador Langtree.]
The screen immediately flashed to a generic government wallpaper, and Jenny could have sworn she heard cheesy piano music and a condescending voice telling her that her call was important to them. Her simmering anger was rapidly coming to a boil, and Jenny could feel her cheeks heating as she waited. For a seemingly-endless amount of time, Jenny waited for the Ambassador to appear so she could return to her warm bed and even warmer husband, and she was about to close the monitor and rip out the cables so she could get some peace and quiet when the Ambassador's face appeared.
[Did I catch you at a bad time, Captain?]
Langtree had a kind face with deep-set green eyes and hair that was rapidly graying from its dark brown. The antithesis of what many would consider a career politician, Langtree had served for twenty years in the Starfleet Marine Corps prior to entering the Diplomatic Corps; he'd served at AR-558, Chin'toka, and had helped evacuate Romulan civilians under fire during the exodus from Romulan space. He was a man for whom Jenny held great respect, but that didn't change the fact he was the reason for her current state of coitus interruptus.
"Well, actually..."
[Just over a month ago, long-range probes detected the presence of a warp-capable species in your area. The Yeager is to...]
"Now hold on a minute, Ambassador. I work for Starfleet Command, not the Diplomatic Corps; you don't have the authority to give me orders, otherwise I'd be talking to an Admiral. What it sounds like is you're asking me to volunteer for something."
[I'd like you to volunteer for something. While we have not compiled a full dossier on the species, we know that they are called the Wairara, and they inhabit a binary star system with a unique temporal anomaly; a chroniton particle stream, which is of great interest to the Department of Temporal Investigations...]
"I'm not interested. Send the Titania, they love the temporal crap."
[Furthermore, our probes have indicated that whatever technology they use to travel around their system is far more efficient than our own impulse drives, and have been recorded as routinely accelerating to velocities of point-four cee. I don't need to tell you, Captain, that having an acceleration advantage over our rivals without the time-dilation effects would be vital should another armed conflict arise. The Theoretical Propulsion Group at Utopia Planitia are very keen to get their hands on this technology.]
"So send a SCE ship with a diplomatic team."
[That's the issue,] Langtree rubbed his hands together, [from our intercepts of their media, it seems like the Wairara have little use for the posturing of career politicians. Their primary religion is that of The Great Race; competition to complete a task in the fastest and most efficient way. Can you guess what their tradition is when meeting a new species?]
[They challenge them to a race. The Wairara take their racing very seriously, their entire star system is organised into one giant racetrack. Pilots and engineers are first-class citizens among the Wairara; they are the equivalent of old-Earth rock stars, with properties, titles, and media endorsements to go along with their fame.]
"Sensible. Let's make that Federation policy."
[So we believe that a pilot is the best person to talk to these people. We know they're aware of the Federation, and despite the misgivings of The Powers That Be, you're one of the most famous pilots in Starfleet since Tom Paris. We believe that the Yeager's...unique...design, will also appeal to the engineers among the Wairara.]
"I'm not a diplomat."
# Misplaced data records
┌──
[1]
LaP7 | PBE | relaxed

```
32
Lattice="-10.466 -5.267 0.015 2.226 -4.409 5.021 -0.455 0.933 10.289" Properties=species:S:1:pos:R:3 pbc="T T T"
La -5.166 -6.665 11.827
La -1.681 -0.567 8.640
La -3.529 -2.078 3.498
La -7.014 -8.176 6.685
P -7.645 -5.138 4.024
P -1.459 -4.392 6.158
P -1.049 -3.605 11.302
P -7.235 -4.351 9.168
P -4.243 -5.468 7.667
P 0.295 -1.467 2.507
P -4.452 -3.275 7.659
P -8.989 -7.275 12.818
P -8.175 -6.785 10.808
P -3.568 -2.910 9.666
P -0.520 -1.958 4.517
P -5.127 -5.832 5.659
P -6.707 -3.910 11.286
P -0.386 -3.446 9.181
P -1.987 -4.833 4.039
P -8.309 -5.297 6.144
P -9.214 -5.145 9.808
P -2.868 -4.722 10.667
P 0.520 -3.598 5.518
P -5.827 -4.021 4.658
P -5.199 -2.358 11.036
P -8.706 -8.426 9.441
P -3.496 -6.385 4.289
P 0.011 -0.317 5.884
P -5.931 -6.171 8.889
P -1.734 -1.472 11.579
P -2.764 -2.572 6.437
P -6.961 -7.271 3.746
```

Computed properties:
Density = 3.60 g/cm³
Crystal system = monoclinic

---

[2]
LaP | PBE | relaxed

```
2
Lattice="0.000 3.025 3.025 3.025 0.000 3.025 3.025 3.025 0.000" Properties=species:S:1:pos:R:3 pbc="T T T"
La 0.000 0.000 0.000
P 3.025 3.025 3.025
```

Computed properties:
Density = 5.09 g/cm³
Crystal system = cubic

---

Here are the calculated energy of formation numbers, same order: -431.0 -1568.3 (meV/atom).

* * * * *

{
  "formula": "Ca4Ge3O11",
  "functional": "PBE",
  "state": "optimized geometry",
  "e_form_ev_per_atom": -2.5898,
  "lattice": [[4.7070, -5.2939, 0.0000], [4.7070, 5.2939, 0.0000], [0.0000, 0.0000, 21.3895]],
  "species": ["O", "O", "O", "O", "O", "O", "O", "O", "O", "O", "O", "O", "O", "O", "O", "O", "O", "O", "O", "O", "O", "O", "O", "O", "O", "O", "O", "O", "O", "O", "O", "O", "O", "O", "O", "O", "O", "O", "O", "O", "O", "O", "O", "O", "Ge", "Ge", "Ge", "Ge", "Ge", "Ge", "Ge", "Ge", "Ge", "Ge", "Ge", "Ge", "Ca", "Ca", "Ca", "Ca", "Ca", "Ca", "Ca", "Ca", "Ca", "Ca", "Ca", "Ca", "Ca", "Ca", "Ca", "Ca"],
└──
# The text goes on
[We're assigning a diplomatic advisor, they will report aboard tomorrow. I believe Commander Crawford recently boarded for a visit, he will act as security for our advisor. I trust you and he will have plenty to keep you occupied between diplomatic functions.]
The smirk on Langtry's face didn't soothe Jenny's mood much, but it was a start. It was a hell of an opportunity for her, and for the crew of the Yeager; her last First Contact mission had almost resulted in a shooting war with the Tholian Assembly, it was a surprise that she'd be offered a second chance so soon. Not that it was anyone's first choice; she was simply the person who ticked the most boxes and was closest. Plus it got to mean that Bryan would be remaining aboard for an extended period of time; Carly was still on Earth, which meant the family wasn't quite fully reunited, but it was a start.
"Well then I guess I volunteer, Ambassador."
[Good! Your orders will be sent in the morning. Enjoy the rest of your night.]
Jenny managed, barely, not to give Langtree the finger as she noticed the mischievous twinkle in his eye; he might have left the Corps, but he'd certainly not grown up any. Shutting down the monitor, Jenny rose and moved back towards the bedroom. Bryan had since wrapped himself in a robe and was standing in the doorway, opening his mouth to enquire what the conversation was about. Before he uttered a word, Jenny put a finger to his lips and unbelted her kimono, letting it slide off her shoulders as she pushed him back into the bedroom.
It was shaping up to be a good night, after all...
The beeping coming from Jenny's terminal became more insistent the longer she ignored it. The fact that this was now the third time someone had tried to contact her only served to darken her mood even further as she stormed out of the bedroom, quickly wrapping her naked form in a silk kimono. It had been far too long since she'd enjoyed any male company, and after Bryan had made the journey to the ass-end of nowhere to support her at the Yeager's commissioning, she had hoped that she would be able to take her time to truly make the most of the experience.
Someone had decided that was not to be.
That meant someone was about to die.
Dropping heavily into the chair behind her desk, she slammed her hand down on the console to activate the communications terminal. The screen flashed to life, the brightness causing her to flinch away briefly as her eyes adjusted.
"This had better be good."
The officer on the other end of the communication, a young Bajoran woman, seemed unphased by Jenny's appearance or mood, and seemed more intent on working on filing her nails than holding any conversation.
[Please hold for Ambassador Langtree.]
The screen immediately flashed to a generic government wallpaper, and Jenny could have sworn she heard cheesy piano music and a condescending voice telling her that her call was important to them. Her simmering anger was rapidly coming to a boil, and Jenny could feel her cheeks heating as she waited. For a seemingly-endless amount of time, Jenny waited for the Ambassador to appear so she could return to her warm bed and even warmer husband, and she was about to close the monitor and rip out the cables so she could get some peace and quiet when the Ambassador's face appeared.
[Did I catch you at a bad time, Captain?]
Langtree had a kind face with deep-set green eyes and hair that was rapidly graying from its dark brown. The antithesis of what many would consider a career politician, Langtree had served for twenty years in the Starfleet Marine Corps prior to entering the Diplomatic Corps; he'd served at AR-558, Chin'toka, and had helped evacuate Romulan civilians under fire during the exodus from Romulan space. He was a man for whom Jenny held great respect, but that didn't change the fact he was the reason for her current state of coitus interruptus.
"Well, actually..."
[Just over a month ago, long-range probes detected the presence of a warp-capable species in your area. The Yeager is to...]
"Now hold on a minute, Ambassador. I work for Starfleet Command, not the Diplomatic Corps; you don't have the authority to give me orders, otherwise I'd be talking to an Admiral. What it sounds like is you're asking me to volunteer for something."
[I'd like you to volunteer for something. While we have not compiled a full dossier on the species, we know that they are called the Wairara, and they inhabit a binary star system with a unique temporal anomaly; a chroniton particle stream, which is of great interest to the Department of Temporal Investigations...]
"I'm not interested. Send the Titania, they love the temporal crap."
[Furthermore, our probes have indicated that whatever technology they use to travel around their system is far more efficient than our own impulse drives, and have been recorded as routinely accelerating to velocities of point-four cee. I don't need to tell you, Captain, that having an acceleration advantage over our rivals without the time-dilation effects would be vital should another armed conflict arise. The Theoretical Propulsion Group at Utopia Planitia are very keen to get their hands on this technology.]
"So send a SCE ship with a diplomatic team."
[That's the issue,] Langtree rubbed his hands together, [from our intercepts of their media, it seems like the Wairara have little use for the posturing of career politicians. Their primary religion is that of The Great Race; competition to complete a task in the fastest and most efficient way. Can you guess what their tradition is when meeting a new species?]
[They challenge them to a race. The Wairara take their racing very seriously, their entire star system is organised into one giant racetrack. Pilots and engineers are first-class citizens among the Wairara; they are the equivalent of old-Earth rock stars, with properties, titles, and media endorsements to go along with their fame.]
"Sensible. Let's make that Federation policy."
[So we believe that a pilot is the best person to talk to these people. We know they're aware of the Federation, and despite the misgivings of The Powers That Be, you're one of the most famous pilots in Starfleet since Tom Paris. We believe that the Yeager's...unique...design, will also appeal to the engineers among the Wairara.]
"I'm not a diplomat."
[We're assigning a diplomatic advisor, they will report aboard tomorrow. I believe Commander Crawford recently boarded for a visit, he will act as security for our advisor. I trust you and he will have plenty to keep you occupied between diplomatic functions.]
The smirk on Langtry's face didn't soothe Jenny's mood much, but it was a start. It was a hell of an opportunity for her, and for the crew of the Yeager; her last First Contact mission had almost resulted in a shooting war with the Tholian Assembly, it was a surprise that she'd be offered a second chance so soon. Not that it was anyone's first choice; she was simply the person who ticked the most boxes and was closest. Plus it got to mean that Bryan would be remaining aboard for an extended period of time; Carly was still on Earth, which meant the family wasn't quite fully reunited, but it was a start.
"Well then I guess I volunteer, Ambassador."
[Good! Your orders will be sent in the morning. Enjoy the rest of your night.]
Jenny managed, barely, not to give Langtree the finger as she noticed the mischievous twinkle in his eye; he might have left the Corps, but he'd certainly not grown up any. Shutting down the monitor, Jenny rose and moved back towards the bedroom. Bryan had since wrapped himself in a robe and was standing in the doorway, opening his mouth to enquire what the conversation was about. Before he uttered a word, Jenny put a finger to his lips and unbelted her kimono, letting it slide off her shoulders as she pushed him back into the bedroom.
It was shaping up to be a good night, after all...